
When I had an early miscarriage (8 weeks) a couple of years ago, my doctor and I were discussing it and she mentioned that some people collect the discharge from early miscarriages and want it tested to find out if it was a girl or a boy. I thought, "Oh my god, why would you want that!?!" It's bad enough to lose a

One step ahead of you, Gloria. I planned to boycott this already, but mostly because it just didn't look good.

Yeah, it's bad in the Midwest and the Southeast (also, we've got quite a bit of it in the northern bits of New England), but in the Northwest and Southwest, it's insane.

The preservatives in bread is really astonishing. Buy a loaf of bread on the first of the month, you'll probably still be able to eat it by the 15th! That is both astonishing and terrifying. I started buying bread with no preservatives from a local bakery a little while back. It tastes better and can still be

Yeah, pretty much exactly.


I'm beginning to suspect that the TSA is just as managerially fucked up as the agency my husband works for. There are constantly new and contradictory rules coming down, important information is suddenly disappeared from the electronic manual because some State Department employee didn't like the wording and we'll

My business partner and I are both women. Granted, we're a publishing startup not a tech start up, but there has been no crying. Maybe it's just her?

In that case, I usually start imagining the angry hate-sex we could have.

We all know that Robert Pattinson and Kristen Stewart are not actually dating, right? I mean, we are all aware that as soon as the Twilight movies are over, they're splitsville, right?

I know. I find my sense of decency and shame to be really crippling.

Well, hello there, Uncanny Valley.

Re Update: So, you'll have your regular news feed with all the stuff that Facebook's algorithm thinks you'll be interested in. And then you'll have a separate feed that shows everything. Does that separate feed then include stuff that I have purposely chosen to block? Because I purposely blocked Mafia Wars updates

Or whatever your own reasons are, this celibate gentleman [Cardinal Daniel diNardo, chairman of the U.S. bishops' Committee on Pro-Life Activities] knows better.

I am so jealous of my dogs. They spend their days going from couch to bed on the floor to human bed and back again. Three times a day, they go for a leisurely walk, and twice a week they go for a run at the park. People are always happy to see them. And when they're feeling insecure or nervous, they just find a

"I am against abortions now," she said.

-- What comes next are data records, not part of the article --
Diffraction record for Tl7In4Bi. The powder X-ray diffraction pattern is simulated, not measured: it uses a crystal structure in Alexandria, relaxed with PBE and Cu Kα.
Neutral-atom scattering factors, no anomalous dispersion.

Largest 12 diffraction maxima, in order of rising 2θ, 5 to 70 degrees two-theta:
hkl  two_theta  intensity
1 0 0  18.49  13
0 1 1  19.63  30
0 1 3  27.14  17
1 1 0  32.35  1000
2 0 1  38.10  8
0 2 4  46.40  186
2 0 5  50.81  7
1 2 3  54.53  6
3 0 0  57.66  293
0 1 8  57.82  92
2 2 0  67.63  60
2 0 8  67.81  57

Structural model:
```
data_Tl7In4Bi
_chemical_formula_sum 'Tl7 In4 Bi1'
_cell_length_a 5.5412
_cell_length_b 5.5412
_cell_length_c 13.5257
_cell_angle_alpha 90.00
_cell_angle_beta 90.00
_cell_angle_gamma 120.00
_symmetry_space_group_name_H-M 'P -3 m 1'
_symmetry_Int_Tables_number 164
_symmetry_space_group_name_Hall '-P 3 2"'
loop_
_atom_site_label
_atom_site_fract_x
_atom_site_fract_y
_atom_site_fract_z
Tl1 0.0000 0.0000 0.0000
Tl2 0.0000 0.0000 0.2501
Tl3 0.3333 0.6667 0.1590
Tl4 0.3333 0.6667 0.4112
In1 0.3333 0.6667 0.6725
In2 0.3333 0.6667 0.9147
Bi1 0.0000 0.0000 0.5000
```


[1]
The following is a simulated X-ray powder pattern of KLa2AgO5. It was derived from the GGA-PBE geometry in Alexandria, using Cu Kα.

Principal peaks in the range 2θ = 10–90°, low angle first:
2θ 14.69, d = 6.030 Å, I 19
2θ 18.03, d = 4.921 Å, I 22
2θ 29.64, d = 3.014 Å, I 100
2θ 32.37, d = 2.765 Å, I 42
2θ 41.71, d = 2.165 Å, I 33
2θ 43.79, d = 2.067 Å, I 20

Structural model:
a b c (Å): 6.9587 6.9587 6.0301
angles (deg): 90.00 90.00 90.00
Space group P4/mbm (No. 127)
Symmetry-distinct sites (fractional):
1 K 0.0000 0.0000 0.0000 (multiplicity 2)
2 La 0.1809 0.3191 0.5000 (multiplicity 4)
3 Ag 0.0000 0.5000 0.0000 (multiplicity 2)
4 O 0.0000 0.0000 0.5000 (multiplicity 2)
5 O 0.1352 0.6352 0.2518 (multiplicity 8)


[2]
The following is a simulated X-ray powder pattern of Ta3Bi2S6. It was derived from the GGA-PBE geometry in Alexandria, using Cu Kα.

Principal peaks in the range 2θ = 10–90°, low angle first:
2θ 20.21, d = 4.394 Å, I 100
2θ 20.46, d = 4.340 Å, I 41
2θ 31.46, d = 2.844 Å, I 66
2θ 32.70, d = 2.739 Å, I 98
2θ 34.69, d = 2.586 Å, I 51
2θ 44.08, d = 2.054 Å, I 93

Structural model:
a b c (Å): 5.7641 5.7641 17.5758
angles (deg): 90.00 90.00 120.00
Space group P6_3/mcm (No. 193)
Symmetry-distinct sites (fractional):
1 Ta 0.0000 0.3266 0.2500 (multiplicity 6)
2 Bi 0.3333 0.6667 0.0000 (multiplicity 4)
3 S 0.0000 0.0000 0.1589 (multiplicity 4)
4 S 0.3333 0.6667 0.1620 (multiplicity 8)


[3]
The following is a simulated X-ray powder pattern of Dy14TmTh. It was derived from the GGA-PBE geometry in Alexandria, using Cu Kα.

Principal peaks in the range 2θ = 10–90°, low angle first:
2θ 30.93, d = 2.891 Å, I 100
2θ 35.87, d = 2.504 Å, I 51
2θ 51.63, d = 1.770 Å, I 36
2θ 61.41, d = 1.510 Å, I 43
2θ 84.30, d = 1.149 Å, I 18
2θ 87.02, d = 1.120 Å, I 17

Structural model:
a b c (Å): 7.0832 7.0832 10.0105
angles (deg): 90.00 90.00 90.00
-- The data records stop here --

Crap - I'm going to have to learn how to sew if I have kids - especially girls - aren't i?

I spend half an hour trying to unclog my sinuses.

When I was thirteen, my friend Allison, whose parents both worked and left her alone with an AOL connection after school, showed me a series of emails between her and some guy she met in a chat room. He told her he was twenty eight (she told him she was nineteen) and he detailed all the things he was going to do to

**Unrelated to this article: calculated crystals**
-- begin --
1.
Calculated PXRD pattern of ZrSnRh for Cu Kα, from a GGA-PBE-relaxed structure.

Lattice parameters (Å, degrees): 7.4234 7.4234 7.3113 90.00 90.00 120.00
Space group P-62c (No. 190)
One atom of each set of equivalent atoms:
1 Zr 0.0178 0.6117 0.2500 (multiplicity 6)
2 Sn 0.0000 0.2702 0.0000 (multiplicity 6)
3 Rh 0.0000 0.0000 0.2500 (multiplicity 2)
4 Rh 0.3333 0.6667 0.5357 (multiplicity 4)

Top 6 peaks for 5° ≤ 2θ ≤ 70°, by angle:
| Position (°2θ) | I/Imax |
| --- | --- |
| 34.43 | 100 |
| 37.00 | 42 |
| 37.25 | 74 |
| 42.17 | 59 |
| 44.79 | 35 |
| 68.62 | 35 |

2.
Calculated PXRD pattern of ZrSnRh for Cu Kα, from a GGA-PBE-relaxed structure.

Lattice parameters (Å, degrees): 7.4129 7.4129 3.6647 90.00 90.00 120.00
Space group P-62m (No. 189)
One atom of each set of equivalent atoms:
1 Zr 0.0000 0.6021 0.0000 (multiplicity 3)
2 Sn 0.0000 0.2672 0.5000 (multiplicity 3)
3 Rh 0.0000 0.0000 0.0000 (multiplicity 1)
4 Rh 0.3333 0.6667 0.5000 (multiplicity 2)

Top 6 peaks for 5° ≤ 2θ ≤ 70°, by angle:
| Position (°2θ) | I/Imax |
| --- | --- |
| 34.41 | 100 |
| 37.05 | 44 |
| 37.24 | 80 |
| 42.23 | 57 |
| 44.80 | 39 |
| 68.68 | 37 |

3.
Calculated PXRD pattern of Sr8Rh5 for Cu Kα, from a GGA-PBE-relaxed structure.

Lattice parameters (Å, degrees): 7.316 7.316 7.316 90.00 90.00 90.00
Space group Pm-3m (No. 221)
One atom of each set of equivalent atoms:
1 Sr 0.249 0.249 0.249 (multiplicity 8)
2 Rh 0.000 0.000 0.000 (multiplicity 1)
3 Rh 0.000 0.000 0.500 (multiplicity 3)
4 Rh 0.500 0.500 0.500 (multiplicity 1)

Top 6 peaks for 5° ≤ 2θ ≤ 70°, by angle:
| Position (°2θ) | I/Imax |
| --- | --- |
| 12.10 | 5 |
| 21.03 | 16 |
| 34.68 | 100 |
| 40.91 | 8 |
| 49.86 | 18 |
| 62.16 | 36 |

=====

(1)
This entry pairs a crystal structure of LuH3O3 with its simulated X-ray powder pattern. Radiation: CuKα. Structure: DFT lattice parameters and positions (GGA-PBE).
Neutral-atom scattering factors, no anomalous dispersion.

The 10 most intense peaks (15 to 90 degrees two-theta), in order of rising 2θ:
2θ 16.84, d = 5.264 Å, I = 100.0, (0 0 2); 2θ 17.05, d = 5.202 Å, I = 17.2, (2 0 -2); 2θ 23.60, d = 3.770 Å, I = 13.9, (1 1 1); 2θ 24.26, d = 3.669 Å, I = 12.2, (1 1 -3); 2θ 29.67, d = 3.011 Å, I = 21.7, (3 1 -3); 2θ 33.58, d = 2.669 Å, I = 19.5, (3 1 -1); 2θ 34.06, d = 2.633 Å, I = 23.6, (0 2 2); 2θ 34.99, d = 2.564 Å, I = 21.1, (3 1 -5); 2θ 44.61, d = 2.031 Å, I = 12.0, (3 1 1); 2θ 45.58, d = 1.990 Å, I = 12.0, (0 2 4)

Crystal structure
Cell: 10.419 6.073 14.433 Å, 90.00 133.05 90.00°
Space group P2_1/c (No. 14)
Asymmetric unit:
Lu  0.164  0.025  0.498 [4 per cell]
Lu  0.330  0.534  0.498 [4 per cell]
H  0.005  0.225  0.208 [4 per cell]
H  0.199  0.072  0.106 [4 per cell]
H  0.202  0.630  0.201 [4 per cell]
H  0.270  0.149  0.369 [4 per cell]
H  0.421  0.707  0.887 [4 per cell]
H  0.487  0.154  0.300 [4 per cell]
O  0.095  0.731  0.384 [4 per cell]
O  0.109  0.615  0.109 [4 per cell]
O  0.205  0.221  0.386 [4 per cell]
O  0.277  0.151  0.103 [4 per cell]
-- stop --
**The article goes on**

They said they have an audiotape of Jeffs raping a 12-year-old girl.